File >
┌──
(1)
Material: Cs2Ga2B2O7
Method: DFT, PBE-GGA
State: optimized geometry

Electronic total energy (eV/atom): -6.442

```
data_Cs2Ga2B2O7
_chemical_formula_sum 'Cs8 Ga8 B8 O28'
_space_group_name_H-M_alt 'P 1 21/c 1'
_space_group_IT_number 14
_cell_length_a 9.022
_cell_length_b 8.144
_cell_length_c 12.406
_cell_angle_alpha 90.00
_cell_angle_beta 103.92
_cell_angle_gamma 90.00
loop_
_space_group_symop_operation_xyz
'x,y,z'
'-x,-y,-z'
'-x,y+1/2,-z+1/2'
'x,-y+1/2,z+1/2'
loop_
_atom_site_label
_atom_site_type_symbol
_atom_site_fract_x
_atom_site_fract_y
_atom_site_fract_z
Cs1 Cs 0.034 0.124 0.131
Cs2 Cs 0.432 0.621 0.847
Ga1 Ga 0.186 0.564 0.131
Ga2 Ga 0.339 0.111 0.887
B1 B 0.148 0.109 0.422
B2 B 0.331 0.643 0.564
O1 O 0.018 0.017 0.377
O2 O 0.191 0.227 0.355
O3 O 0.204 0.718 0.589
O4 O 0.239 0.079 0.527
O5 O 0.307 0.009 0.014
O6 O 0.312 0.532 0.269
O7 O 0.472 0.719 0.593
```

(2)
Material: LiSmHg2
Method: DFT, PBE-GGA
State: optimized geometry

Electronic total energy (eV/atom): -2.264

```
data_LiSmHg2
_chemical_formula_sum 'Li4 Sm4 Hg8'
_space_group_name_H-M_alt 'F m -3 m'
_space_group_IT_number 225
_space_group_name_Hall '-F 4 2 3'
_cell_length_a 7.225
_cell_length_b 7.225
_cell_length_c 7.225
_cell_angle_alpha 90.00
_cell_angle_beta 90.00
_cell_angle_gamma 90.00
loop_
_atom_site_label
_atom_site_type_symbol
_atom_site_fract_x
_atom_site_fract_y
_atom_site_fract_z
Li1 Li 0.000 0.000 0.000
Sm1 Sm 0.000 0.000 0.500
Hg1 Hg 0.250 0.250 0.250
```

=====

Entry 1:
Here is a geometry-optimized LiMg6AlO8 structure from the Materials Project. Energies are from PBE-GGA.

The structure in POSCAR format:
```
LiMg6AlO8
1.0
8.496 0.000 0.000
0.000 4.173 0.000
0.000 0.000 4.173
Mg O Al Li
6 8 1 1
Cartesian
4.248 0.000 0.000 Mg
6.433 2.087 0.000 Mg
6.433 0.000 2.087 Mg
4.248 2.087 2.087 Mg
2.064 0.000 2.087 Mg
2.064 2.087 0.000 Mg
1.925 0.000 0.000 O
0.000 0.000 2.087 O
2.189 2.087 2.087 O
4.248 0.000 2.087 O
0.000 2.087 0.000 O
6.308 2.087 2.087 O
4.248 2.087 0.000 O
6.571 0.000 0.000 O
0.000 0.000 0.000 Al
0.000 2.087 2.087 Li
```

Values from the calculation:
M_tot = 0.0 μB per formula unit
Polymorph energy (0 for the lowest one) = 0.009 eV per atom



Entry 2:
Here is a geometry-optimized LiMgAl3S6O24 structure from the Materials Project. Energies are from PBE-GGA.

The structure in POSCAR format:
```
LiMgAl3S6O24
1.0
6.828 0.027 5.473
0.206 8.220 15.450
0.179 0.013 15.443
O S Al Mg Li
48 12 6 2 2
Cartesian
0.893 3.154 14.483 O
6.968 7.963 25.670 O
0.245 0.296 10.696 O
3.862 7.551 21.437 O
5.649 7.367 27.573 O
6.739 5.357 15.493 O
4.755 5.329 24.787 O
5.134 2.463 22.169 O
2.080 5.796 14.197 O
5.156 6.748 30.057 O
1.233 7.209 22.241 O
1.565 0.892 8.793 O
1.877 4.956 16.913 O
2.969 6.759 24.100 O
5.980 1.050 14.125 O
0.744 7.203 28.474 O
2.057 1.511 6.309 O
2.459 2.930 11.579 O
2.474 4.489 24.823 O
6.764 1.575 18.485 O
5.337 3.303 19.453 O
0.358 2.629 9.948 O
5.320 6.622 17.041 O
3.352 0.708 14.929 O
6.320 5.105 21.883 O
2.780 3.511 20.430 O
4.436 5.766 19.897 O
2.306 0.198 17.043 O
4.434 4.748 15.936 O
3.686 3.409 13.635 O
2.144 5.659 27.199 O
6.470 1.056 7.892 O
2.608 7.205 19.389 O
3.127 7.564 28.218 O
3.527 4.851 22.731 O
4.244 1.500 12.267 O
4.087 0.695 8.148 O
2.777 2.493 16.469 O
4.606 1.055 16.977 O
5.070 2.601 9.167 O
0.370 4.338 18.587 O
4.739 3.770 11.543 O
0.450 6.685 17.882 O
0.475 2.902 20.874 O
6.855 5.630 26.418 O
1.894 1.638 19.325 O
6.844 3.921 17.779 O
4.907 8.061 19.323 O
3.780 2.906 12.272 S
6.880 7.045 26.837 S
6.692 2.965 18.956 S
0.333 1.214 9.529 S
3.953 7.164 20.015 S
5.140 1.718 7.972 S
3.433 5.353 24.094 S
3.261 1.095 16.351 S
2.074 6.541 28.394 S
0.522 5.294 17.410 S
5.367 5.860 15.721 S
1.847 2.400 20.645 S
4.495 0.068 13.483 Al
1.200 8.212 18.637 Al
6.013 0.047 17.729 Al
6.000 4.117 25.527 Al
1.214 4.142 10.839 Al
2.719 8.191 22.883 Al
2.601 4.114 15.145 Mg
4.613 4.145 21.221 Mg
5.114 4.984 18.243 Li
2.099 3.275 18.123 Li
```

Values from the calculation:
M_tot = 0.0 μB per formula unit
└──

To do >
Now type out only the last part of the lines further above, starting with the line that has "'-x,-y,-z'".

Here it is >
'-x,-y,-z'
'-x,y+1/2,-z+1/2'
'x,-y+1/2,z+1/2'
loop_
_atom_site_label
_atom_site_type_symbol
_atom_site_fract_x
_atom_site_fract_y
_atom_site_fract_z
Cs1 Cs 0.034 0.124 0.131
Cs2 Cs 0.432 0.621 0.847
Ga1 Ga 0.186 0.564 0.131
Ga2 Ga 0.339 0.111 0.887
B1 B 0.148 0.109 0.422
B2 B 0.331 0.643 0.564
O1 O 0.018 0.017 0.377
O2 O 0.191 0.227 0.355
O3 O 0.204 0.718 0.589
O4 O 0.239 0.079 0.527
O5 O 0.307 0.009 0.014
O6 O 0.312 0.532 0.269
O7 O 0.472 0.719 0.593
```

(2)
Material: LiSmHg2
Method: DFT, PBE-GGA
State: optimized geometry

Electronic total energy (eV/atom): -2.264

```
data_LiSmHg2
_chemical_formula_sum 'Li4 Sm4 Hg8'
_space_group_name_H-M_alt 'F m -3 m'
_space_group_IT_number 225
_space_group_name_Hall '-F 4 2 3'
_cell_length_a 7.225
_cell_length_b 7.225
_cell_length_c 7.225
_cell_angle_alpha 90.00
_cell_angle_beta 90.00
_cell_angle_gamma 90.00
loop_
_atom_site_label
_atom_site_type_symbol
_atom_site_fract_x
_atom_site_fract_y
_atom_site_fract_z
Li1 Li 0.000 0.000 0.000
Sm1 Sm 0.000 0.000 0.500
Hg1 Hg 0.250 0.250 0.250
```

=====

Entry 1:
Here is a geometry-optimized LiMg6AlO8 structure from the Materials Project. Energies are from PBE-GGA.

The structure in POSCAR format:
```
LiMg6AlO8
1.0
8.496 0.000 0.000
0.000 4.173 0.000
0.000 0.000 4.173
Mg O Al Li
6 8 1 1
Cartesian
4.248 0.000 0.000 Mg
6.433 2.087 0.000 Mg
6.433 0.000 2.087 Mg
4.248 2.087 2.087 Mg
2.064 0.000 2.087 Mg
2.064 2.087 0.000 Mg
1.925 0.000 0.000 O
0.000 0.000 2.087 O
2.189 2.087 2.087 O
4.248 0.000 2.087 O
0.000 2.087 0.000 O
6.308 2.087 2.087 O
4.248 2.087 0.000 O
6.571 0.000 0.000 O
0.000 0.000 0.000 Al
0.000 2.087 2.087 Li
```

Values from the calculation:
M_tot = 0.0 μB per formula unit
Polymorph energy (0 for the lowest one) = 0.009 eV per atom



Entry 2:
Here is a geometry-optimized LiMgAl3S6O24 structure from the Materials Project. Energies are from PBE-GGA.

The structure in POSCAR format:
```
LiMgAl3S6O24
1.0
6.828 0.027 5.473
0.206 8.220 15.450
0.179 0.013 15.443
O S Al Mg Li
48 12 6 2 2
Cartesian
0.893 3.154 14.483 O
6.968 7.963 25.670 O
0.245 0.296 10.696 O
3.862 7.551 21.437 O
5.649 7.367 27.573 O
6.739 5.357 15.493 O
4.755 5.329 24.787 O
5.134 2.463 22.169 O
2.080 5.796 14.197 O
5.156 6.748 30.057 O
1.233 7.209 22.241 O
1.565 0.892 8.793 O
1.877 4.956 16.913 O
2.969 6.759 24.100 O
5.980 1.050 14.125 O
0.744 7.203 28.474 O
2.057 1.511 6.309 O
2.459 2.930 11.579 O
2.474 4.489 24.823 O
6.764 1.575 18.485 O
5.337 3.303 19.453 O
0.358 2.629 9.948 O
5.320 6.622 17.041 O
3.352 0.708 14.929 O
6.320 5.105 21.883 O
2.780 3.511 20.430 O
4.436 5.766 19.897 O
2.306 0.198 17.043 O
4.434 4.748 15.936 O
3.686 3.409 13.635 O
2.144 5.659 27.199 O
6.470 1.056 7.892 O
2.608 7.205 19.389 O
3.127 7.564 28.218 O
3.527 4.851 22.731 O
4.244 1.500 12.267 O
4.087 0.695 8.148 O
2.777 2.493 16.469 O
4.606 1.055 16.977 O
5.070 2.601 9.167 O
0.370 4.338 18.587 O
4.739 3.770 11.543 O
0.450 6.685 17.882 O
0.475 2.902 20.874 O
6.855 5.630 26.418 O
1.894 1.638 19.325 O
6.844 3.921 17.779 O
4.907 8.061 19.323 O
3.780 2.906 12.272 S
6.880 7.045 26.837 S
6.692 2.965 18.956 S
0.333 1.214 9.529 S
3.953 7.164 20.015 S
5.140 1.718 7.972 S
3.433 5.353 24.094 S
3.261 1.095 16.351 S
2.074 6.541 28.394 S
0.522 5.294 17.410 S
5.367 5.860 15.721 S
1.847 2.400 20.645 S
4.495 0.068 13.483 Al
1.200 8.212 18.637 Al
6.013 0.047 17.729 Al
6.000 4.117 25.527 Al
1.214 4.142 10.839 Al
2.719 8.191 22.883 Al
2.601 4.114 15.145 Mg
4.613 4.145 21.221 Mg
5.114 4.984 18.243 Li
2.099 3.275 18.123 Li
```

Values from the calculation:
M_tot = 0.0 μB per formula unit